“Right now we are in the positioning stage,” said Senior Director of Communications and Marketing Ty Buckner. “We are looking really hard at what the external view of Guilford is and what we want it to be and make sure that this image is authentic.”The positioning process is a preliminary step in developing the college’s marketing plan, an element of The Strategic Plan for Guilford College 2005-2010. This process began in February and will be finished by May.
Lynn Gibbs, vice president of the Design Group, said that the marketing position will be determined through community input.
“We need students and everyone in the community to contribute their ideas on what they think the true essence of Guilford is,” said Gibbs.
Community Senate will be instrumental in the process of gathering opinions.
“Senate will bring this issue to the students, and from the input, we will compile a list of the highlights of the students opinions on Guilford’s image and the reality at Guilford so it can be referred to in determining the community’s position,” said Community Senate president Joe Pelcher.
The integrated marketing plan will be developed over seven months, from May to December. Upon the completion of that stage, implementation will occur in January 2010. This plan will be in place through December 2013.
“Before we begin developing the marketing plan and get the funding for it, we have to settle on our position,” said Buckner. “We have to determine what the positive characteristics or qualities are that we want people to think of when they think of Guilford. They have to be authentic and resonate with the entire community-not just prospective students, but current students, faculty, staff and donors.”
Buckner said that the goals of the marketing plan will be taken into account when determining the position.
According to the Guilford Beacon, the main goals of the integrated plan are to promote Guilford’s uniqueness as a Quaker-founded liberal arts college that emphasizes academic excellence. Another objective of the plan is to raise the college’s visibility in comparison to competitors and aspirants.
Someone pasted records of crystals at this point:
- - -
Density functional theory data (GGA-PBE) for a relaxed K3Ga2P3O12 crystal.

Summary:
Symmetry ... Pna2_1
Calculated total energy ... -517.66 eV per cell
Formation enthalpy at 0 K ... -254.03 kJ/mol of atoms

Structure (POSCAR):
```
K3Ga2P3O12
1.0
-5.755 6.152 1.479
-6.566 -5.755 -1.614
-0.322 -4.316 16.696
K Ga P O
12 8 12 48
Cartesian
-6.622 -1.735 10.913
-4.245 -4.082 5.192
-0.895 -0.296 2.486
-9.973 -5.520 13.619
-1.059 -3.181 15.207
-10.126 -2.296 0.979
-6.939 -0.720 6.821
-4.245 -4.757 9.365
-3.620 -0.716 8.823
-10.784 -1.320 8.191
-7.346 3.633 0.966
-7.058 -5.669 16.048
-6.495 2.123 12.336
-8.323 -3.717 4.785
-4.988 -0.136 2.872
-9.830 -1.457 14.248
-5.005 -2.994 14.100
-9.676 1.254 2.985
-6.451 3.353 6.804
-8.230 -5.093 10.281
-2.885 -2.186 12.090
-10.191 -1.270 4.582
-6.884 1.924 4.167
-6.192 -5.379 12.506
-6.806 -0.334 14.278
-6.368 -3.018 2.420
-3.126 -0.689 5.348
-10.048 -2.662 11.349
-6.870 1.644 9.250
-7.106 -4.138 7.654
-3.663 0.874 0.204
-10.313 -3.368 16.700
-9.359 -4.341 16.026
-2.654 -0.251 0.374
-6.080 -5.049 6.997
-5.933 0.457 9.402
-9.244 1.654 1.249
-5.028 -3.830 15.731
-8.187 -5.034 8.449
-6.086 2.857 8.531
-11.311 0.354 0.476
-3.395 -2.068 16.616
-6.539 -3.079 8.589
-8.167 1.365 8.502
-10.640 -2.128 15.753
-4.612 0.998 1.478
-8.008 -3.403 6.566
-7.243 2.273 10.666
-11.227 -3.427 10.652
-2.112 0.252 6.088
-5.337 -1.846 2.265
-4.707 -5.887 12.563
-8.002 -1.329 14.475
-3.499 0.004 3.983
-6.797 -3.070 3.935
-7.068 0.457 12.940
-8.796 -3.598 11.218
-2.308 -1.966 4.948
-5.553 -4.336 2.180
-5.551 -1.227 13.985
-9.767 -1.314 10.740
-4.315 -1.066 6.191
-7.523 -2.928 1.457
-6.559 0.548 15.474
-3.282 -2.901 13.433
-9.774 -0.576 3.235
-6.523 1.874 5.696
-6.533 -5.351 10.972
-2.844 -0.651 12.422
-11.757 -1.173 4.643
-8.448 2.052 4.104
-6.153 -3.877 12.961
-3.824 -2.481 10.945
-9.550 -0.656 5.804
-6.205 3.046 3.419
-7.168 -6.184 13.330
-1.395 -2.617 11.848
-9.858 -2.787 4.356
-6.546 0.483 3.641
-10.366 -2.617 12.892
```

----------

No. 1
A geometry-optimized Li3As7H39N13 structure, computed with GGA-PBE.

a = 9.975 Å, b = 13.173 Å, c = 23.185 Å
α = 90.00°, β = 90.00°, γ = 90.00°
Element x y z (fractional)
1 N 0.888 0.193 0.552
2 H 0.727 0.422 0.750
3 H 0.929 0.279 0.135
4 As 0.945 0.955 0.276
5 H 0.273 0.922 0.250
6 H 0.251 0.124 0.478
7 H 0.088 0.763 0.430
8 H 0.945 0.397 0.037
9 H 0.555 0.397 0.537
10 As 0.175 0.651 0.607
11 H 0.729 0.744 0.006
12 H 0.474 0.210 0.163
13 N 0.737 0.994 0.126
14 H 0.737 0.930 0.604
15 N 0.357 0.893 0.486
16 As 0.280 0.599 0.203
17 H 0.771 0.744 0.506
18 H 0.666 0.341 0.797
19 N 0.017 0.314 0.879
20 H 0.971 0.149 0.559
21 N 0.726 0.693 0.039
22 N 0.857 0.393 0.014
23 H 0.227 0.922 0.750
24 N 0.148 0.732 0.853
25 N 0.237 0.494 0.374
26 H 0.406 0.066 0.681
27 N 0.774 0.693 0.539
28 Li 0.214 0.630 0.915
29 N 0.036 0.148 0.690
30 Li 0.329 0.208 0.383
31 N 0.612 0.193 0.052
32 H 0.032 0.972 0.551
33 N 0.896 0.452 0.420
34 H 0.445 0.897 0.463
35 As 0.780 0.099 0.297
36 H 0.005 0.369 0.910
- - -
However, Buckner emphasized that a key goal is making sure that the image that Guilford presents to the world is authentic.
“It has to ring true,” said Gibbs. “Some people come to Guilford and find that the reality hadn’t lined up to their expectations.”
Sophomore and Senate treasurer-elect Jordan Auleb said that she thought Guilford would be more academically rigorous and considered transferring at one point.
Unrelated to this page: materials data >
********
DFT (PBE with a Hubbard U) results for BaMo2P3O14 after structural relaxation. Values from VASP.

Results
energy of formation from the pure elements	-2.5741	eV/atom
uncorrected energy	-7.229	eV per atom
SG	Cc (9)

```
&SYSTEM
  ibrav = 0, nat = 40, ntyp = 4
/
ATOMIC_SPECIES
O 16.00 O.upf
Mo 95.94 Mo.upf
P 30.97 P.upf
Ba 137.33 Ba.upf
CELL_PARAMETERS angstrom
4.940 6.709 0.000
-4.940 6.709 0.000
0.000 1.462 8.678
ATOMIC_POSITIONS angstrom
O -0.556 9.639 2.062
Mo -1.453 9.803 5.848
O 2.000 10.607 2.290
P -1.193 10.882 2.667
O 1.713 6.949 5.475
P 1.016 3.185 1.714
O 2.771 6.947 8.104
Mo 1.453 9.072 1.510
O 0.231 4.752 6.320
O -0.725 12.239 2.190
P 1.193 11.613 7.006
O -2.164 4.790 6.771
O -0.927 2.506 6.589
O -1.052 10.893 4.224
P 0.695 7.388 4.392
O 0.927 1.775 2.250
O -2.000 11.338 6.629
O 0.725 12.970 6.529
Ba -4.570 6.710 0.047
Ba 4.570 7.441 4.386
O 2.967 8.423 0.985
P -1.016 3.916 6.053
Mo 1.588 5.946 7.350
O -0.050 6.919 8.031
O -2.771 6.216 3.765
O -1.713 6.218 1.136
O 1.357 3.116 0.201
O -1.555 8.852 7.652
Mo -1.588 5.215 3.011
O 0.050 6.188 3.692
O 0.397 7.556 0.659
O 0.556 10.370 6.400
O 1.052 11.624 8.562
O -2.967 9.154 5.324
O -0.397 8.287 4.998
O 1.555 8.121 3.313
O -1.357 3.847 4.540
P -0.695 6.657 0.053
O -0.231 4.021 1.981
O 2.164 4.059 2.432
```


DFT (PBE with a Hubbard U) results for BaMo2P2O12 after structural relaxation. Values from VASP.

Results
magnetization	0.000	μB per atom
energy of formation from the pure elements	-2.5107	eV/atom
uncorrected energy	-7.167	eV per atom
SG	P2_1/c (14)

```
&SYSTEM
  ibrav = 0, nat = 34, ntyp = 4
/
ATOMIC_SPECIES
O 16.00 O.upf
Mo 95.94 Mo.upf
P 30.97 P.upf
Ba 137.33 Ba.upf
CELL_PARAMETERS angstrom
-6.334 2.638 -2.588
-3.139 -5.076 2.507
-1.829 4.415 8.979
ATOMIC_POSITIONS angstrom
O -8.433 2.086 8.973
O -4.102 2.100 0.286
O -5.820 -0.701 3.531
O -6.082 2.029 7.996
O -4.036 -3.267 5.042
O -5.482 2.678 5.367
Mo -5.983 -1.515 2.006
O -7.977 1.147 6.600
P -3.831 0.667 0.845
O -2.692 1.644 4.862
P -2.297 1.854 6.335
O -3.806 0.287 9.218
O -8.609 0.333 4.037
O -7.495 1.691 -0.319
O -6.680 4.573 6.880
O -2.873 -1.134 4.443
O -4.622 -2.596 2.019
O -5.220 -0.051 0.903
O -2.869 -0.108 -0.074
O -4.652 -0.757 6.870
P -9.004 0.123 2.563
O -7.266 5.245 3.856
Mo -5.318 3.493 6.893
Ba 0.000 0.000 0.000
O -3.325 0.830 2.298
P -7.471 1.311 8.053
O -7.200 -0.123 8.613
O -6.650 2.735 2.029
O -3.331 2.659 7.159
Mo -1.666 0.145 3.521
O -8.429 3.112 4.455
Ba -4.081 3.527 3.196
O -7.971 -0.681 1.739
Mo -9.636 1.833 5.377
```


DFT (PBE with a Hubbard U) results for BaMoSeO6 after structural relaxation. Values from VASP.

Results
magnetization	0.000	μB per atom
energy of formation from the pure elements	-2.1587	eV/atom
uncorrected energy	-6.450	eV per atom
SG	P2_1/c (14)

```
&SYSTEM
  ibrav = 0, nat = 36, ntyp = 4
/
ATOMIC_SPECIES
Se 78.96 Se.upf
Mo 95.94 Mo.upf
O 16.00 O.upf
Ba 137.33 Ba.upf
CELL_PARAMETERS angstrom
10.351 0.000 0.000
0.000 6.375 0.000
0.000 0.720 8.535
ATOMIC_POSITIONS angstrom
********
“I decided to get involved and have found strong allies in the faculty, the staff and student leaders who cared about my concern,” said Auleb. “Guilford ignited in me a passion for learning and community learning. Instead of hating Guilford I learned to link the two.”
At a meeting concerning the positioning process with Buckner, Dean for Campus Life Aaron Fetrow and a number of student senators, Inter-club Council chair sophomore Alex Knox asked Fetrow about the marketing plan’s role in student retention.
Fetrow said that, historically, academic dismissals have always been the leading cause for students leaving Guilford.
“The two other leading causes are medical issues and problems with fit,” said Fetrow. “Fit is a generic term that can mean ‘my girlfriend is at home but I had to tell mom that I don’t like Guilford,’ or ‘I decided that I want an engineering degree and I need to transfer.’ We try to drill down so we can find out if students leave because they thought Guilford would be different. But we don’t get a lot of ‘you lied to us’.”
The Ad Hoc Marketing Group has developed an online survey that students can currently access on The Buzz. This questionnaire asks students to identify words and phrases that “capture the essence of the college.”
“We need to survey effectively and in a timely manner,” said Buckner. “We need to gather as many voices in the community as possible.”
The group created the survey with specificity and clarity in mind. It lists statements that students rank from 1-5 (strongly disagree- strongly agree), such as: “Guilford is academically challenging,” “Guilford supports each individual student,” “Guilford creates leaders,” and “Guilford prepares students for social responsibilty.”
Focus groups that include students have already met and Buckner and Gibbs met with Fetrow, as well as officers from the current and upcoming Senate including Auleb, Knox, and Pelcher, in order to discuss the positioning process and to determine the best way to phrase the survey questions and what questions to highlight when they are brought to students.
In order to determine the primary unique qualities of Guilford that will be addressed in the survey, philanthropic studies were administered by Campbell and Company, and online surveys were conducted.
According to an announcement on the Beacon, “Analysis of survey results highlighted Guilford’s competitive advantages: Quaker heritage, politically active campus, liberal environment, academic excellence, social responsibility, small classes, practical liberal arts education, community and meaningful faculty/student relationships.”
“It’s great that Advancement has started a dialogue with students on how their school is marketed to the world,” said Community Senate community and student concerns chair senior Chris Pugliese. “Asking students about how to market the school opens up a conversation on what Guilford means to people individually and collectively.